### Excerpt
Computed powder XRD pattern of ScAgSe2 for Cu Kα (weighted mean of Kα1 and Kα2), from a GGA-PBE-relaxed structure.

Main lines, sorted by position (10° ≤ 2θ ≤ 90°):
- 3.404 Å, 26.18 deg, I 100
- 3.303 Å, 26.99 deg, I 97
- 2.630 Å, 34.09 deg, I 21
- 2.243 Å, 40.20 deg, I 49
- 1.986 Å, 45.68 deg, I 57
- 1.950 Å, 46.57 deg, I 51
- 1.715 Å, 53.41 deg, I 14
- 1.585 Å, 58.21 deg, I 26
- 1.391 Å, 67.29 deg, I 16
- 1.140 Å, 85.14 deg, I 17

Structural model:
Lattice parameters (Å, degrees): 3.972 3.972 23.671 90.00 90.00 120.00
Fractional coordinates of all 12 atoms:
Sc  0.000  0.329  0.333
Sc  0.329  0.000  0.667
Sc  0.671  0.671  0.000
Ag  0.000  0.336  0.833
Ag  0.336  0.000  0.167
Ag  0.664  0.664  0.500
Se  0.004  0.338  0.938
Se  0.333  0.996  0.272
Se  0.338  0.004  0.062
Se  0.662  0.667  0.605
Se  0.667  0.662  0.395
Se  0.996  0.333  0.728


# 1
Simulated PXRD pattern of Mg2ZnSe for Cu Kα (λ = 1.5418 Å), from the PBE geometry in Alexandria.
Neutral-atom scattering factors, no anomalous dispersion.

Atomic structure:
```
8
Lattice="3.6315 0.0000 0.0000 0.0000 7.7656 0.0000 0.0000 0.0000 5.8954" Properties=species:S:1:pos:R:3 pbc="T T T"
Mg 0.9079 0.2651 1.2731
Mg 0.9079 3.6177 1.2731
Mg 2.7236 4.1479 4.6223
Mg 2.7236 7.5005 4.6223
Zn 0.9079 1.9414 4.9308
Zn 2.7236 5.8242 0.9646
Se 0.9079 5.8242 3.3016
Se 2.7236 1.9414 2.5938
```

Largest 10 diffraction maxima, in order of falling intensity, 15 to 90 degrees two-theta:
Position (°2θ)	d [Å]	Rel. int.
31.13	2.873	100
37.17	2.419	89
22.90	3.883	46
32.49	2.756	45
46.75	1.943	42
41.12	2.195	37
45.71	1.985	29
71.05	1.327	23
50.25	1.816	20
73.51	1.288	18



# 2
Simulated PXRD pattern of CsSb2F11 for Cu Kα (λ = 1.5418 Å), from the PBE geometry in Alexandria.
Neutral-atom scattering factors, no anomalous dispersion.

Atomic structure:
```
56
Lattice="7.8776 0.0000 0.0000 0.0000 14.6968 0.0000 -4.1052 0.0000 9.1097" Properties=species:S:1:pos:R:3 pbc="T T T"
Cs 1.0274 1.8602 2.0637
Cs -1.0252 5.4882 6.6186
Cs 4.7976 9.2086 2.4912
Cs 2.7449 12.8366 7.0461
Sb -1.5851 10.2144 7.3798
Sb 0.4675 11.8308 2.8249
Sb -1.2741 0.7375 6.8981
Sb 0.7785 6.6109 2.3432
Sb 2.9938 8.0859 6.7666
Sb 5.0464 13.9593 2.2117
Sb 3.3048 2.8660 6.2848
Sb 5.3574 4.4824 1.7299
F -3.3893 9.2243 7.6887
F -1.3367 12.8208 3.1339
F -2.3912 10.7833 5.7482
F -0.3386 11.2619 1.1933
F -0.0271 8.0677 1.4279
F -2.0797 13.9774 5.9828
F -2.5334 0.4689 8.3114
F -0.4808 6.8795 3.7565
F -0.3837 10.3669 3.6954
F -2.4364 11.6783 8.2502
F -0.9882 8.6104 6.5468
F 1.0645 13.4348 1.9920
F -0.2384 1.2159 5.3752
F 1.8142 6.1325 0.8203
F -0.7761 2.3801 7.7322
F 1.2766 4.9683 3.1773
F -1.0979 9.4783 9.0684
F 0.9547 12.5669 4.5135
F 2.1025 10.9107 2.5868
F 0.0499 11.1345 7.1417
F 2.1484 7.6622 3.1033
F 0.0958 14.3830 7.6582
F 3.6766 0.3138 1.4515
F 1.6239 7.0346 6.0064
F 3.7224 3.5623 1.9680
F 1.6698 3.7861 6.5229
F 2.8176 2.1299 4.5963
F 4.8703 5.2185 0.0414
F 2.4958 9.7285 5.9324
F 4.5484 12.3167 1.3776
F 1.9581 8.5643 8.2894
F 4.0107 13.4809 3.7346
F 2.7079 1.2620 7.1178
F 4.7605 6.0864 2.5629
F 6.2087 3.0185 0.8595
F 4.1560 4.3299 5.4144
F 4.2531 7.8173 5.3532
F 6.3057 14.2279 0.7983
F 5.8520 0.7193 3.1270
F 3.7994 6.6290 7.6818
F 4.1109 3.4349 7.9165
F 6.1635 3.9135 3.3616
F 5.1090 1.8759 5.9759
F 7.1617 5.4725 1.4210
```

Largest 10 diffraction maxima, in order of falling intensity, 15 to 90 degrees two-theta:
Position (°2θ)	d [Å]	Rel. int.
21.92	4.055	100
19.49	4.555	58
24.79	3.591	30
26.08	3.417	27
24.46	3.639	22
25.84	3.448	18
38.04	2.365	15
48.28	1.885	13
43.51	2.080	11
32.83	2.728	11



# 3
Simulated PXRD pattern of V5SiRu6 for Cu Kα (λ = 1.5418 Å), from the PBE geometry in Alexandria.
Neutral-atom scattering factors, no anomalous dispersion.

Atomic structure:
```
12
Lattice="4.2167 0.0000 0.0000 0.0000 5.9431 0.0000 -2.0979 0.0000 6.4412" Properties=species:S:1:pos:R:3 pbc="T T T"
V 0.0000 0.0000 0.0000
V 0.0110 2.9716 4.2024
V 0.0106 0.0000 4.2504
V 2.1082 0.0000 2.1908
V 2.1079 2.9716 2.2388
Si 0.0000 2.9716 0.0000

### Job
Next, repeat only the lines further above with the word "Simulated" in them.

### Result
Simulated PXRD pattern of Mg2ZnSe for Cu Kα (λ = 1.5418 Å), from the PBE geometry in Alexandria.
Simulated PXRD pattern of CsSb2F11 for Cu Kα (λ = 1.5418 Å), from the PBE geometry in Alexandria.
Simulated PXRD pattern of V5SiRu6 for Cu Kα (λ = 1.5418 Å), from the PBE geometry in Alexandria.